Exercise.
Write out the entries underneath without altering anything.

Contents.
********
# C6H5INO5

A cluster of 2 separate species, C6H5INO5 in total (ωB97M-V with the def2-TZVPD basis set, the Open Molecules 2025 dataset).

The relative energy (zero: lowest compared OMol25 entry of this formula, charge and spin) comes out at 0.202 eV. For the frontier orbital gap, the calculation gives 6.19 eV.

The geometry in ORCA input format:
```
! wB97M-V def2-TZVPD RIJCOSX def2/J DEFGRID3
* xyz -1 1
C 1.43 -0.03 -2.02
C 1.13 -1.42 -1.88
C 0.91 0.59 -0.98
C 0.30 -1.60 -0.86
C -0.38 1.15 1.80
C -0.45 -0.16 1.02
N 0.22 -0.27 -0.15
O -1.14 1.05 2.85
O 0.48 1.99 1.65
O 1.01 1.94 -0.83
O -0.24 -2.73 -0.44
O -1.09 -1.03 1.52
I -3.59 2.56 0.65
H 2.08 0.33 -2.69
H 1.18 -2.05 -2.65
H 0.84 2.13 0.10
H -0.97 -2.71 0.18
H -1.72 0.24 2.73
*
```

=====

# 1
Computed, not measured: a gas-phase ion, C31H43OSi (charge +1) in a non-equilibrium geometry, with wB97M-V/def2-TZVPD.

## Properties
- energy relative to the best compared isomer or geometry (same formula, charge and spin) (kcal per mole) = 32.2
- net charge = +1

Last column: Mulliken charge in e.
CARTESIAN COORDINATES (ANGSTROEM)
C: 0.57 -3.50 -0.88  0.736
C: -0.98 -3.53 -0.77  0.211
C: -1.72 -3.70 -1.96  -0.332
C: -3.10 -3.82 -1.93  -0.734
C: -3.80 -3.69 -0.72  -0.503
C: -3.08 -3.43 0.47  -0.695
C: -1.70 -3.37 0.43  -0.396
C: 1.22 -2.67 0.18  -0.911
C: 2.48 -2.20 0.14  -0.372
C: 3.14 -1.42 1.19  0.655
C: 4.43 -0.90 0.92  -0.315
C: 5.16 -0.20 1.87  -0.628
C: 4.64 0.02 3.15  -0.505
C: 3.33 -0.44 3.42  -0.581
C: 2.61 -1.14 2.46  -0.337
H: 0.88 -3.20 -1.85  0.690
H: -1.20 -3.73 -2.92  0.523
H: -3.65 -3.99 -2.85  0.413
H: -4.89 -3.73 -0.67  0.389
H: -3.59 -3.26 1.41  0.420
H: -1.15 -3.17 1.37  0.350
H: 0.56 -2.34 0.99  0.154
H: 3.09 -2.44 -0.74  0.229
H: 4.84 -1.06 -0.08  0.365
H: 6.14 0.21 1.62  0.371
H: 5.17 0.62 3.87  0.404
H: 2.88 -0.20 4.39  0.361
H: 1.59 -1.48 2.70  0.305
C: 2.38 -4.80 -6.93  -1.429
C: 3.30 -4.72 -5.72  -0.123
C: 4.07 -6.02 -5.43  -0.690
C: 4.94 -5.94 -4.17  -0.476
Si: 4.34 -6.99 -2.72  -0.892
C: 4.40 -8.79 -3.29  -0.615
C: 5.72 -9.31 -3.91  -0.646
C: 6.35 -10.53 -3.19  -0.443
C: 7.68 -10.95 -3.78  -1.370
C: 5.62 -6.94 -1.32  -0.780
C: 5.78 -5.53 -0.82  -0.142
C: 6.79 -5.44 0.35  -0.584
C: 6.86 -4.03 0.92  -1.247
C: 2.68 -6.22 -2.17  0.628
C: 1.40 -6.57 -2.74  -0.934
C: 0.47 -5.90 -1.98  -0.329
C: 1.11 -4.97 -0.98  -0.190
O: 2.57 -5.14 -1.34  0.082
H: 1.92 -3.83 -7.12  0.402
H: 2.93 -5.08 -7.82  0.339
H: 1.58 -5.52 -6.78  0.331
H: 4.05 -3.94 -5.87  0.377
H: 2.71 -4.42 -4.84  0.006
H: 3.34 -6.85 -5.40  0.141
H: 4.71 -6.23 -6.32  0.512
H: 5.94 -6.34 -4.43  0.449
H: 5.03 -4.91 -3.81  0.577
H: 4.11 -9.42 -2.45  0.677
H: 3.61 -8.88 -4.06  0.399
H: 5.52 -9.65 -4.95  0.401
H: 6.49 -8.51 -3.99  0.245
H: 6.47 -10.29 -2.12  0.297
H: 5.64 -11.36 -3.24  0.357
H: 8.10 -11.79 -3.24  0.388
H: 7.58 -11.24 -4.83  0.329
H: 8.40 -10.14 -3.73  0.335
H: 5.30 -7.60 -0.50  0.569
H: 6.57 -7.34 -1.68  0.504
H: 6.13 -4.86 -1.63  0.252
H: 4.81 -5.12 -0.48  -0.126
H: 6.48 -6.16 1.11  0.369
H: 7.77 -5.76 -0.03  0.357
H: 7.54 -4.01 1.77  0.446
H: 7.22 -3.33 0.16  0.312
H: 5.87 -3.70 1.26  0.254
H: 1.23 -7.26 -3.60  0.490
H: -0.60 -6.02 -2.11  0.730
H: 0.88 -5.26 0.08  0.188

=====

# 2
Computed, not measured: a gas-phase ion, C4H8NO (charge +1) in a non-equilibrium geometry, with wB97M-V/def2-TZVPD.

## Properties
- energy relative to the best compared isomer or geometry (same formula, charge and spin) (kcal per mole) = 120.3
- net charge = +1

Last column: Mulliken charge in e.
CARTESIAN COORDINATES (ANGSTROEM)
C: -0.09 0.66 0.40  -0.077
C: -0.89 0.73 1.51  -1.162
C: 0.84 -0.70 -1.57  -1.502
C: 0.05 -0.57 -0.28  0.557
N: -1.39 -0.87 -0.71  0.222
O: -2.32 -0.85 0.02  -0.219
H: 0.57 1.48 0.01  0.383
H: -0.80 -0.14 2.16  0.381
H: -2.01 0.74 1.30  0.406
H: -0.85 1.74 2.00  0.353
H: 1.86 -0.91 -1.32  0.433
H: 0.59 -1.43 -2.21  0.432
H: 1.08 0.24 -2.06  0.352
H: 0.27 -1.40 0.33  0.440

=====

# 3
********

Here it is.
# C6H5INO5

A cluster of 2 separate species, C6H5INO5 in total (ωB97M-V with the def2-TZVPD basis set, the Open Molecules 2025 dataset).

The relative energy (zero: lowest compared OMol25 entry of this formula, charge and spin) comes out at 0.202 eV. For the frontier orbital gap, the calculation gives 6.19 eV.

The geometry in ORCA input format:
```
! wB97M-V def2-TZVPD RIJCOSX def2/J DEFGRID3
* xyz -1 1
C 1.43 -0.03 -2.02
C 1.13 -1.42 -1.88
C 0.91 0.59 -0.98
C 0.30 -1.60 -0.86
C -0.38 1.15 1.80
C -0.45 -0.16 1.02
N 0.22 -0.27 -0.15
O -1.14 1.05 2.85
O 0.48 1.99 1.65
O 1.01 1.94 -0.83
O -0.24 -2.73 -0.44
O -1.09 -1.03 1.52
I -3.59 2.56 0.65
H 2.08 0.33 -2.69
H 1.18 -2.05 -2.65
H 0.84 2.13 0.10
H -0.97 -2.71 0.18
H -1.72 0.24 2.73
*
```

=====

# 1
Computed, not measured: a gas-phase ion, C31H43OSi (charge +1) in a non-equilibrium geometry, with wB97M-V/def2-TZVPD.

## Properties
- energy relative to the best compared isomer or geometry (same formula, charge and spin) (kcal per mole) = 32.2
- net charge = +1

Last column: Mulliken charge in e.
CARTESIAN COORDINATES (ANGSTROEM)
C: 0.57 -3.50 -0.88  0.736
C: -0.98 -3.53 -0.77  0.211
C: -1.72 -3.70 -1.96  -0.332
C: -3.10 -3.82 -1.93  -0.734
C: -3.80 -3.69 -0.72  -0.503
C: -3.08 -3.43 0.47  -0.695
C: -1.70 -3.37 0.43  -0.396
C: 1.22 -2.67 0.18  -0.911
C: 2.48 -2.20 0.14  -0.372
C: 3.14 -1.42 1.19  0.655
C: 4.43 -0.90 0.92  -0.315
C: 5.16 -0.20 1.87  -0.628
C: 4.64 0.02 3.15  -0.505
C: 3.33 -0.44 3.42  -0.581
C: 2.61 -1.14 2.46  -0.337
H: 0.88 -3.20 -1.85  0.690
H: -1.20 -3.73 -2.92  0.523
H: -3.65 -3.99 -2.85  0.413
H: -4.89 -3.73 -0.67  0.389
H: -3.59 -3.26 1.41  0.420
H: -1.15 -3.17 1.37  0.350
H: 0.56 -2.34 0.99  0.154
H: 3.09 -2.44 -0.74  0.229
H: 4.84 -1.06 -0.08  0.365
H: 6.14 0.21 1.62  0.371
H: 5.17 0.62 3.87  0.404
H: 2.88 -0.20 4.39  0.361
H: 1.59 -1.48 2.70  0.305
C: 2.38 -4.80 -6.93  -1.429
C: 3.30 -4.72 -5.72  -0.123
C: 4.07 -6.02 -5.43  -0.690
C: 4.94 -5.94 -4.17  -0.476
Si: 4.34 -6.99 -2.72  -0.892
C: 4.40 -8.79 -3.29  -0.615
C: 5.72 -9.31 -3.91  -0.646
C: 6.35 -10.53 -3.19  -0.443
C: 7.68 -10.95 -3.78  -1.370
C: 5.62 -6.94 -1.32  -0.780
C: 5.78 -5.53 -0.82  -0.142
C: 6.79 -5.44 0.35  -0.584
C: 6.86 -4.03 0.92  -1.247
C: 2.68 -6.22 -2.17  0.628
C: 1.40 -6.57 -2.74  -0.934
C: 0.47 -5.90 -1.98  -0.329
C: 1.11 -4.97 -0.98  -0.190
O: 2.57 -5.14 -1.34  0.082
H: 1.92 -3.83 -7.12  0.402
H: 2.93 -5.08 -7.82  0.339
H: 1.58 -5.52 -6.78  0.331
H: 4.05 -3.94 -5.87  0.377
H: 2.71 -4.42 -4.84  0.006
H: 3.34 -6.85 -5.40  0.141
H: 4.71 -6.23 -6.32  0.512
H: 5.94 -6.34 -4.43  0.449
H: 5.03 -4.91 -3.81  0.577
H: 4.11 -9.42 -2.45  0.677
H: 3.61 -8.88 -4.06  0.399
H: 5.52 -9.65 -4.95  0.401
H: 6.49 -8.51 -3.99  0.245
H: 6.47 -10.29 -2.12  0.297
H: 5.64 -11.36 -3.24  0.357
H: 8.10 -11.79 -3.24  0.388
H: 7.58 -11.24 -4.83  0.329
H: 8.40 -10.14 -3.73  0.335
H: 5.30 -7.60 -0.50  0.569
H: 6.57 -7.34 -1.68  0.504
H: 6.13 -4.86 -1.63  0.252
H: 4.81 -5.12 -0.48  -0.126
H: 6.48 -6.16 1.11  0.369
H: 7.77 -5.76 -0.03  0.357
H: 7.54 -4.01 1.77  0.446
H: 7.22 -3.33 0.16  0.312
H: 5.87 -3.70 1.26  0.254
H: 1.23 -7.26 -3.60  0.490
H: -0.60 -6.02 -2.11  0.730
H: 0.88 -5.26 0.08  0.188

=====

# 2
Computed, not measured: a gas-phase ion, C4H8NO (charge +1) in a non-equilibrium geometry, with wB97M-V/def2-TZVPD.

## Properties
- energy relative to the best compared isomer or geometry (same formula, charge and spin) (kcal per mole) = 120.3
- net charge = +1

Last column: Mulliken charge in e.
CARTESIAN COORDINATES (ANGSTROEM)
C: -0.09 0.66 0.40  -0.077
C: -0.89 0.73 1.51  -1.162
C: 0.84 -0.70 -1.57  -1.502
C: 0.05 -0.57 -0.28  0.557
N: -1.39 -0.87 -0.71  0.222
O: -2.32 -0.85 0.02  -0.219
H: 0.57 1.48 0.01  0.383
H: -0.80 -0.14 2.16  0.381
H: -2.01 0.74 1.30  0.406
H: -0.85 1.74 2.00  0.353
H: 1.86 -0.91 -1.32  0.433
H: 0.59 -1.43 -2.21  0.432
H: 1.08 0.24 -2.06  0.352
H: 0.27 -1.40 0.33  0.440

=====

# 3